It may feel like summer is winding down, but many Chesapeake critters are quite active in a final hoorah before fall. Naturalist John Page Williams, Jr. discusses osprey chicks taking their first flights, sea turtles, and stinging nettles in the latest episodes of our Chesapeake Almanac podcast. Round that out with a new study on the state of the watershed's freshwater mussels, a look back at the ancient, giant sharks that once called the Bay region home, and a primer on four things you should know about jellyfish as you enjoy late summer days on the water. Finally, keep tabs on a new federal program that would help restore fish and wildlife habitat as well as all the latest from our Around the Bay in 60 Seconds news roundup.

Megalodon’s name means “big tooth,” and that’s no exaggeration. Teeth like this one, measuring 4.5”, have been found along the shores of the Chesapeake Bay. It is currently on display at the Calvert Marine Museum.
Anjelica Eitel/CBF Staff
Big (Shark) Tooth
Megalodon, the world's largest ocean predator, once called the Chesapeake Bay region home millions of years ago. Its name means "big tooth," and we still find fossilized teeth, which are sometimes as large as 6 inches, along local beaches. What made the Bay an ideal habitat for this Miocene monster, and what happened to it?

The entry is interrupted by records of crystals >
┌──
Density functional theory data (PBE-GGA) for a geometry-optimized SrAsOs2 structure.

The space group is Imm2 (No. 44) and the conventional cell measures 2.935, 5.377 and 9.950 Å, with angles of 90.00, 90.00 and 90.00 degrees. The inequivalent atoms are Sr at (0.000, 0.000, 0.000), As at (0.000, 0.500, 0.777), Os at (0.000, 0.000, 0.484) and Os at (0.000, 0.500, 0.194).

As for the total magnetization: 0.00 μB per formula unit. The uncorrected energy is -6.592 eV per atom. For the calculated formation energy, the calculation gives 0.6056 eV per atom. The density of states at the Fermi level comes out at 7.435 states/eV per cell.



Density functional theory data (PBE-GGA) for a geometry-optimized SrNdAsS structure.

The space group is R3m (No. 160, hexagonal axes) and the conventional cell measures 4.2898, 4.2898 and 21.1640 Å, with angles of 90.00, 90.00 and 120.00 degrees. The inequivalent atoms are Sr at (0.0000, 0.0000, 0.0000), Nd at (0.0000, 0.0000, 0.4992), As at (0.0000, 0.0000, 0.7568) and S at (0.0000, 0.0000, 0.2465).

The value obtained for the formation energy (no corrections) is -40.1 kcal/mol of atoms. As for the total magnetization: 0.00 μB per formula unit. The uncorrected energy is -5.546 eV per atom.



What did the first record say?
Density functional theory data (PBE-GGA) for a geometry-optimized SrAsOs2 structure.

The space group is Imm2 (No. 44) and the conventional cell measures 2.935, 5.377 and 9.950 Å, with angles of 90.00, 90.00 and 90.00 degrees. The inequivalent atoms are Sr at (0.000, 0.000, 0.000), As at (0.000, 0.500, 0.777), Os at (0.000, 0.000, 0.484) and Os at (0.000, 0.500, 0.194).

As for the total magnetization: 0.00 μB per formula unit. The uncorrected energy is -6.592 eV per atom. For the calculated formation energy, the calculation gives 0.6056 eV per atom. The density of states at the Fermi level comes out at 7.435 states/eV per cell.
└──

Rainbow mussels at the Harrison Lake Hatchery in Charles City, VA.
Kenny Fletcher/CBF Staff
Video: Mighty Mussels in Peril
Carolina Slabshells, Tidewater Muckets, Green Floaters—an amazing diversity of freshwater mussels call the rivers and streams of the Bay watershed home. But a new report finds that we're losing these filter feeders faster than we can study them. Now, robust efforts are required to save the mighty mussel.

A sea nettle drifts in Spa Creek at Annapolis Marina in Annapolis, Maryland.
Matt Rath/Chesapeake Bay Program.
Feeling Jelly
It wouldn't be a Chesapeake summer without sea nettles. Despite the uncomfortable sting they inflict, jellyfish have long fascinated. There's something otherworldly, even graceful, about these pulsing, gelatinous animals. From where to watch for nettles to treating their irritating stings, here are four things you should know as you enjoy the water.

Keeping Up with the Critters
Every Wednesday, naturalist John Page Williams, Jr. gives inside accounts of the Bay's creatures and seasonal events from his Chesapeake Almanac. In this month's episodes, he shares stories of sea nettles, giant and mysterious sea turtles, and osprey chicks as they begin to take their first flights.

Michael Adams
Watch for WILD
The U.S. House of Representatives is moving forward with full funding for the Chesapeake WILD program in its budget bill. This new program, which many CBF members have advocated for, will help restore fish and wildlife habitat and bolster recreational opportunities throughout the watershed. We're keeping a close eye on it!

Video: Around the Bay in 60 Seconds
In this month's news roundup, the recently passed Senate infrastructure bill includes a big increase for EPA's Chesapeake Bay Program funding, Pennsylvania students launch a campaign against an invasive pest, new reef balls go in the water for Bay oysters, Virginia legislators set aside money to address wastewater and septic system pollution, and more.
What You Can Do
- Agriculture is an integral part of the Bay watershed's culture, heritage, and economy. One easy thing you can do for our farmers right now is to sign our pledge and show your support for federal investments in critical agricultural conservation practices that help our environment, economy, and way of life.
- BayRaisers turn unique ideas, like the student-led Tributary Festival or Williamsburg city councilman's cross-state bike ride, into creative ways to save the Bay. Become a BayRaiser today or search and support one that inspires you.
- August is National Make-a-Will Month! Invest 20 minutes of your time today to eternalize support for the people and causes that you love—and to protect the Bay forever. Start your free will now!
- Help us continue to bring the Bay and its rivers to you at home each month. Donate today.